Let's say that abbadon finally asspulls his way to the Sol system.
What then? His forces would be exhausted after the push from the eye of terror and then deal with the entire segmentum shitting their pants and setting every single battleship and vacuum-proof box they can manage on his ass, and that's not including the personal Terran fleet, the IF fleet(and maybe the phalanx) the GK fleet, the Martian fleet, and several hundred personal flotillas from inquisitors and rouge traders(not mentioning the reinforcements from other parts of the imperium.
Thats ignoring Titan and the inquisitorial fortress zone around saturn.
And then if he manages to get through that he still needs to get past Luna and the hundreds of defense satellites orbiting it
What now?
Other urls found in this thread:
IF they somehow asspull their way beyond a storm of laser and flak fire onto the surface they then have to go against the if who are in their element, the GK, hundreds if not thousands of regiments of IG, hordes of ministrorum fanatics and inquisitorial stormtroopers and Titan legions and in the imperial itself the entire legio custodes.
And let's not forget the asasinorum, their personal army, billions of hive gangers, billions more conscripted citizens and the guards of the noble houses.
That's before every single astartes chapter in range comes to their aid(including Bobby G with the chadmarines)
So I ask you Veeky Forums, what do?
lol chaos already won, endless daemons lol, Abadoobadong is aykshully the good guy, gg ez
Find out in Warhammer, s̶e̶a̶s̶o̶n̶ Edition 9!
What you've described is literally a drop in the ocean compared to infinite hordes of Chaos.
This is probably exactly why he hasn't done that yet.
I don't get why people think Horus was more successful than Abaddon. Horus is dead, soul literally erased, that is the perfect definition of loss.
Abaddon hasn't pulled anything quite as major as Istvaan or the siege of Terra, yet at the end of it all, he is still standing, and all of his effort goes into being alive until he wins.
The thing is, the only way he could possibly get that far is if he was riding a massive fucking warp storm/extension of the Great Edition Shift Rift. In that situation, bar maybe Titan, Saturn and Terra with their psychic defences, everything's fucked and reinforcements are unable to get in without getting fucked.
The whole idea of black crusades have no sense. Abaddon does not have the means to keep a steady line of supply, there's simply not enough resources(water, food, etc.) in the Eye of Terror to keep a large scale war going on. The time fluidity of the Eye/warp also would make any possibility of battle coordination impossible. For some it has passed 100 years since the HH, for others it has been only a few days. How organise all of them into a force capable of crippling the Imperium? You can't.
Not even mentioning that due to the time problem, while the Imperium would have centuries to reorganize themselves many traitors would have only a fraction of this time and no means to help each others.
And I'm not even mentioning the constant infighting.
The whole point of the Black Crusades is to advance the plot, because it doesn't really makes much sense.
My best bet if I was Abaddon would be a blitzkrieg-ish tactic. Beeline to Terra and take out the Astronomicon or the Emperor of possible (Emperor will be harder to get). If he takes out the Astronomicon, it will be the Age of strife all over again and imperial worlds will fall to Chaos.
That is of course assuming Abbadons crusade isn't just a geneseed waving contest in which case he's gonna lose. Again.
We don't know what is going on currently with him, but at the start of the 13th Black Crusade, he led a force larger than the forces of the HH in size.
At the start of the 13th BC, he had resolved most of the issues you bring up, and part of the plan was to either expand the Eye so resupply becomes less issue, or take and strip worlds on the way, Horus did this.
>Larger than HH
How much was daemons and worthless mutant rabble though?
Horus had the same, cultists and daemons made up a lot of the forces that landed on Terra.
**Between two parts of the piece: crystal structures**
/*
# 1
MnZn3Mo9O45 | GGA+U | relaxed

**Formation energy from the elements**: -1028.9 meV per atom

Geometry as CIF:
```
data_MnZn3Mo9O45
_cell_length_a 9.9078
_cell_length_b 9.9492
_cell_length_c 10.0178
_cell_angle_alpha 104.15
_cell_angle_beta 103.71
_cell_angle_gamma 103.86
_symmetry_space_group_name_H-M 'P 1'
_symmetry_Int_Tables_number 1
_symmetry_space_group_name_Hall 'P 1'
loop_
_atom_site_label
_atom_site_type_symbol
_atom_site_fract_x
_atom_site_fract_y
_atom_site_fract_z
_atom_site_occupancy
Mn1 Mn 0.0000 0.0000 0.0000 1
Zn1 Zn 0.3899 0.9649 0.5627 1
Zn2 Zn 0.5604 0.3843 0.9563 1
Zn3 Zn 0.9761 0.5635 0.4045 1
Mo1 Mo 0.1188 0.3476 0.1428 1
Mo2 Mo 0.1421 0.1220 0.3482 1
Mo3 Mo 0.2057 0.7886 0.9907 1
Mo4 Mo 0.3500 0.1449 0.1228 1
Mo5 Mo 0.6473 0.8858 0.8472 1
Mo6 Mo 0.7866 0.9949 0.2054 1
Mo7 Mo 0.8478 0.6493 0.8877 1
Mo8 Mo 0.8864 0.8481 0.6507 1
Mo9 Mo 0.9891 0.2057 0.7885 1
O1 O 0.0149 0.8358 0.8611 1
O2 O 0.0244 0.0274 0.6758 1
O3 O 0.0267 0.6746 0.0240 1
O4 O 0.0632 0.4514 0.2827 1
O5 O 0.0710 0.7107 0.3185 1
O6 O 0.1221 0.2672 0.4671 1
O7 O 0.1403 0.1627 0.9861 1
O8 O 0.1401 0.3332 0.7803 1
O9 O 0.1608 0.9846 0.1390 1
O10 O 0.2080 0.6665 0.8375 1
O11 O 0.2626 0.2646 0.2633 1
O12 O 0.2636 0.4693 0.1250 1
O13 O 0.2821 0.0694 0.4545 1
O14 O 0.2845 0.7555 0.4407 1
O15 O 0.3112 0.4495 0.7197 1
O16 O 0.3120 0.0759 0.7093 1
O17 O 0.3241 0.9730 0.9744 1
O18 O 0.3324 0.7765 0.1382 1
O19 O 0.4208 0.5050 0.9344 1
O20 O 0.4360 0.2886 0.7503 1
O21 O 0.4462 0.7214 0.3123 1
O22 O 0.4588 0.2852 0.0721 1
O23 O 0.4696 0.1269 0.2685 1
O24 O 0.5085 0.9379 0.4240 1
O25 O 0.5182 0.7378 0.8513 1
O26 O 0.5503 0.9536 0.7167 1
O27 O 0.5557 0.4873 0.5078 1
O28 O 0.6634 0.8404 0.2069 1
O29 O 0.6725 0.0267 0.0249 1
O30 O 0.6721 0.3398 0.4550 1
O31 O 0.7085 0.3000 0.0555 1
O32 O 0.7160 0.5509 0.9543 1
O33 O 0.7355 0.7352 0.7355 1
O34 O 0.7380 0.8494 0.5210 1
O35 O 0.7544 0.4408 0.3129 1
O36 O 0.7742 0.1412 0.3317 1
O37 O 0.8326 0.8595 0.0100 1
O38 O 0.8374 0.2090 0.6655 1
O39 O 0.8525 0.5214 0.7392 1
O40 O 0.8601 0.0129 0.8340 1
O41 O 0.9187 0.4184 0.5082 1
O42 O 0.9589 0.7178 0.5564 1
O43 O 0.9682 0.3198 0.9714 1
O44 O 0.9695 0.9728 0.3201 1
O45 O 0.9823 0.1389 0.1604 1
```

---

# 2
Li9Mn2Co5O16 | GGA+U | relaxed

**Energy relative to the lowest polymorph listed for this composition**: 44 meV per atom
**Formation energy from the elements**: -1820.3 meV per atom

Geometry as CIF:
```
data_Li9Mn2Co5O16
_cell_length_a 5.1235
_cell_length_b 5.8962
_cell_length_c 10.0734
_cell_angle_alpha 104.80
_cell_angle_beta 100.70
_cell_angle_gamma 90.69
_symmetry_space_group_name_H-M 'P 1'
_symmetry_Int_Tables_number 1
_symmetry_space_group_name_Hall 'P 1'
loop_
_atom_site_label
_atom_site_type_symbol
_atom_site_fract_x
_atom_site_fract_y
_atom_site_fract_z
_atom_site_occupancy
Li1 Li 0.0000 0.0000 0.0000 1
Li2 Li 0.0019 0.0036 0.4960 1
Li3 Li 0.0057 0.4967 0.0039 1
Li4 Li 0.2475 0.8806 0.2588 1
Li5 Li 0.2511 0.3847 0.2558 1
Li6 Li 0.4983 0.2389 0.4942 1
*/
To add a bit more to the pile.
The Kriegers would collectively cream their pants, strap engines onto their planet and then ram it into abbadon's fleet FOR THE EMPEROR
>I don't get why people think Horus was more successful than Abaddon.
He did in 7 years what Abaddon couldn't in 10,000. He fearlessly faced down and killed a Primarch and the Emperor back to back while Abaddon can't stand before some ordinary humans. He rallied the dregs of Primarch-dom into a coherent and galaxy-shattering force, while Abaddon can't get even one Primarch to help him break out of the exact same system he started in 112 years ago. Horus' model is a neat centerpiece, Abaddon's is a retarded looking manlet.
Horus was powerful, cool, and competent. Abaddon is not of those things.
And the rest of the imperium suffers while the rest of chaos and xenos run amok.
Doesn't matter, we're talking about HOLY TERRA THE SEAT OF THE EMPEROR
Professional Soldiers of the Imperial Army =/= Insane Cultists
Go home, Carnac.
>At the start of the 13th BC, he had resolved most of the issues you bring up, and part of the plan was to either expand the Eye so resupply becomes less issue, or take and strip worlds on the way, Horus did this.
But that's the problem. The 13th BC shouldn't even be possible without a already giant and well maintained supply line
The difference was that Horus commanded decent warriors, while Abaddon command a bunch of warp corrupted astartes and common humans with doubtfull loyalty or full blown insane cultists.
Horus gained command of all forces of the GC from the Emperor, while Abaddon had nothing. Horus had the suprise advantage, while Abaddon doesn't.
Horus was a primarch, Abaddon is just a SM.
Horus already started with loyal legion and 8 other legions, Abaddon started with a pocket of astartes and managed to effectively unite the old Sons of Horus and other traitor legions.
Comparing both is unfair because one started with a lot, and the other with nothing.
Basically this. While Abbadon is a great field commander and warrior (hence why he was one of the mournival), that's about all he has going for him.
Horus was more or less the Emperor light. He had it all.
Horus was an apex predator. Abaddon isnt, but tries to be.
So? Horus was still more successful by a massive margin. It's a bad comparison, I agree, but if the comparison is going to be made then its clear Horus remains far superior (tho who knows what will happen as the "plot" keeps advancing)
You get a less damaging Siege of Terra and Abbadon getting his ass handed to him. At best he can hope for his sword to morph into a daemon once more and murder it's way to the Emperor.
Horus was a primarch. He's inherently better than any other being in existence, except the Emperor himself
Horus started with nothing but himself and the slimy worm Lorgar and a Legion riddled with loyalists (around 1/3 died on Istvaan). He won every other Primarch to his side with diplomacy and cunning. Then he had to face down an opposing force of no less than nine enemy Primarchs and the Emperor himself. This he did, and forced his way onto Terra in less than single decade. By contrast Abaddon has a massive chimpout at the prospect of facing down a grand total of one loyalist Primarch and can't break *out* of a system in more than a century. And that's not even getting into how Mortarion used naked extortion to get his grubby little mitts on Abaddon's Defiler designs and got away scott free.
So I agree it's an unfair comparison. For Horus.
Chaos is a joke and is only written as being big and scary as it's needed for the setting, the traitor legions were routed and never had any way to replenish at a meaningful rate. The Imperium would have to be so unbelievably out of scale compared to Chaos in the scope of its military that everything that's left of the traitor legions would be significantly less threat than the Tau, who themselves would be so insignificant most chapter masters would never have heard of them. There are far less chaos marines in the galaxy by far than Eldar, and you wouldn't even believe in Eldar if you lived in the Imperium. Only tyranids and orks would be a consistent threat.
>Horus started with nothing but himself and the slimy worm Lorgar and a Legion riddled with loyalists (around 1/3 died on Istvaan).
That means two legions, which is far more than the token forces Abaddon had.
Parts of two Legions against the entire Imperium. And if Abaddon started with a small force it's his own fault, as First Captain command naturally fell to him and keeping the Legion together was his responsibility.
The only reason chaos does well is they can pull daemons and shit out of their ass
To add yet more stuff to the pile, the full might of Mars would be getting thrown at Chaos. One Ark Mechanicus tanked the Planet Killer and the rest of the Black Crusade battlefleet for hours as Cawl escaped Cadia, Mars has dozens, plus superweapons out the ass, Skitarii Legions who are armed entirely with better plasma guns aren't considered remarkable, Ordinatii, Titans by the hundred, the Ordo Reductor and whatever bullshit they can pull, literally millions of Kataphrons which melt squads of Marines by themselves, the Cybernetica...
Hell, if they have something similar to Torquora's warpline bomb they can smack the Warp Storm with those, which will send it back along the route of Abbadkn's massive fleet (and therefore the Crimson Path) and push Chaos warp support slowly back to the Eye of Terror. It'll splatter lots of the planets that the Crimson Path has covered on the way, but that's why it's a doomsday weapon. Would also intensify the Eye of Terror storms a lot as the entire CPath gets stacked onto the origin point, which would be a pain for even Chaos forces to survive transit through.
Watcher of the Throne has an interesting take on that (as always, Based Wraight comes in and solves 40k lore)
Abby uses pylon remains to block out warp paths in order to isolate Terra. He didn't want to go to Terra right away, rather to nibble at the surroundings, with Terra left virtually in the dark.
However he didn't succeed as the vrry last path out of the Solar system was saved by Valerian and Aleya (best 40k couple, too pure) and Guilmiman was able to start his Crusade.
So who knows?
>as First Captain command naturally fell to him and keeping the Legion together was his responsibility.
The 1st Company was his, not the entire legion.
There isn't really much precedent as to who should be the primarch's successor.
titty fuck a portal open and unleash legions of gay daemons upon mankind
Chaos already reached Terra in nu-lore, tehy got their asses handed to them
>there's simply not enough resources(water, food, etc.) in the Eye of Terror to keep a large scale war going on.
Supply is something 40k (and most military sci-fi in general) ignores because it'd be a logistical nightmare, but it's hand-waived in some books by simply saying that there are so many compliment Beastmen and Mutants within the Eye that they continuously act as suppliers/farmers/etc. As the Eye of Terror is basically the Warp, it's space is infinite and it isn't subjected to the laws of physics so there's as much in there as you need it to be
>Based Wraight
Why didn't he wrote Master of Mankind again? One of the few writers that doesn't push his shit around.
>So? Horus was still more successful by a massive margin.
Lets see Horus do this.
>it's space is infinite and it isn't subjected to the laws of physics so there's as much in there as you need it to be
That's exactly the problem. The warp taint everything.
It's said that the warbands even fight each other for clean water
You mean the ruinstorm?
Considering that wasnt intentional by Abaddon otherwise he would have aimed it at Terra, you may as well blame Magnus and the Eldar for having that happen.